## Request
What is needed: find "-3.26" and "-0.68 -0.08" in the contents below, and print these two lines and those between.

## Material
'''
[1]
Below is an isolated molecule of C18H26N2O3, with properties calculated with wB97M-V/def2-TZVPD.

Positions of all 49 atoms, in Å:
C 1.49 -2.56 2.83
O 0.11 -2.58 2.53
C -0.28 -3.58 1.63
C 0.18 -3.33 0.17
N -0.13 -1.99 -0.28
C 0.92 -1.10 -0.25
O 2.08 -1.46 -0.16
N 0.62 0.22 -0.42
C -0.70 0.78 -0.34
C -0.72 2.17 -0.98
C -0.12 3.27 -0.09
C 1.35 3.08 0.16
C 1.82 2.63 1.38
C 3.18 2.43 1.59
C 4.08 2.69 0.57
C 3.62 3.15 -0.65
C 2.27 3.34 -0.86
C -1.63 -0.21 -1.05
C -3.06 0.28 -1.00
C -3.71 0.50 -2.34
O -3.63 0.49 0.05
C -1.52 -1.56 -0.31
C -2.39 -2.60 -1.02
H 1.61 -1.83 3.63
H 2.10 -2.26 1.98
H 1.82 -3.54 3.19
H 0.11 -4.56 1.94
H -1.37 -3.60 1.69
H -0.28 -4.07 -0.48
H 1.26 -3.43 0.10
H 1.41 0.84 -0.32
H -1.03 0.88 0.71
H -1.76 2.44 -1.18
H -0.19 2.13 -1.94
H -0.65 3.28 0.86
H -0.28 4.23 -0.58
H 1.12 2.43 2.18
H 3.53 2.07 2.55
H 5.14 2.53 0.73
H 4.32 3.35 -1.45
H 1.92 3.71 -1.81
H -1.29 -0.33 -2.08
H -4.73 0.86 -2.21
H -3.72 -0.44 -2.90
H -3.13 1.22 -2.91
H -1.90 -1.42 0.71
H -2.02 -2.79 -2.02
H -2.42 -3.53 -0.47
H -3.41 -2.22 -1.09

Properties
Net charge: 0
Energy relative to the best compared isomer or geometry (same formula, charge and spin) (kJ/mol): 125.20
Strongest force on any atom (Eh/bohr): 0.0156
Gap between HOMO and LUMO (eV): 9.68



[2]
Below is a structure of composition C46H39CaF5N6O8, with properties calculated with wB97M-V/def2-TZVPD.

Positions of all 105 atoms, in Å:
Ca -0.21 1.26 1.79
O 1.68 2.41 5.69
C 1.11 1.80 4.65
O 1.41 2.11 3.51
C 0.14 0.72 5.00
C -0.08 0.37 6.30
C -1.10 -0.60 6.53
C -1.73 -1.19 5.49
C -1.35 -0.87 4.13
N -0.46 0.18 3.93
C -1.83 -1.56 3.07
O -2.77 -2.56 3.15
O -1.45 -1.23 1.76
H 2.25 3.10 5.33
H 0.44 0.86 7.11
H -1.37 -0.86 7.55
H -2.52 -1.92 5.65
H -2.33 -3.42 3.14
C -1.23 0.47 -5.53
O -2.51 0.87 -5.05
C -3.27 -0.19 -4.60
C -4.18 -0.81 -5.44
C -4.96 -1.85 -4.95
C -4.85 -2.24 -3.62
C -3.95 -1.59 -2.78
C -3.15 -0.57 -3.26
N -2.23 0.15 -2.48
C -1.68 -0.21 -1.27
N -1.43 -1.55 -1.16
C -0.60 -2.24 -0.24
C -0.63 -2.15 1.15
C 0.19 -2.98 1.92
C 1.02 -3.89 1.32
C 1.08 -4.00 -0.06
C 0.27 -3.18 -0.82
O 0.24 -3.20 -2.19
C 1.17 -4.03 -2.86
N -1.37 0.61 -0.34
C -1.78 1.99 -0.34
C -2.87 3.35 1.73
C -3.36 4.53 0.85
C -2.01 4.89 -0.85
C -0.74 4.15 -1.10
C -0.63 2.91 -0.65
O 0.57 2.28 -0.40
C 1.75 3.07 -0.45
H -0.69 1.37 -5.80
H -1.34 -0.17 -6.41
H -0.68 -0.08 -4.76
H -4.26 -0.47 -6.46
H -5.67 -2.34 -5.60
H -5.47 -3.03 -3.23
H -3.90 -1.87 -1.73
H -2.23 1.15 -2.66
H -1.45 -2.03 -2.05
H 0.16 -2.86 3.00
H 1.65 -4.53 1.94
H 1.73 -4.73 -0.53
H 1.00 -3.87 -3.92
H 1.00 -5.08 -2.62
H 2.19 -3.75 -2.60
H -3.54 3.12 2.56
H -4.27 5.03 1.15
H -2.21 5.70 -1.54
H 0.14 4.74 -1.32
H 2.55 2.41 -0.12
H 1.66 3.93 0.21
H 1.95 3.39 -1.47
F 0.13 5.33 1.55
C -1.12 4.76 1.59
C -1.42 3.60 2.16
C -2.87 2.17 0.80
F -3.25 0.98 1.34
C -3.18 2.51 -0.60
F -4.09 1.85 -1.37
C -3.29 4.05 -0.61
F -4.33 4.42 -1.43
C -2.10 5.38 0.65
F -2.24 6.76 0.74
C 4.94 -2.95 -0.07
N 4.50 -1.85 0.80
N 3.34 -1.19 0.42
C 2.64 -0.80 1.56
O 1.61 -0.14 1.54
C 3.39 -1.33 2.67
C 4.46 -1.98 2.17
C 5.50 -2.77 2.87
C 3.27 -0.56 -0.85
C 2.02 -0.31 -1.41
C 1.94 0.32 -2.64
C 3.09 0.67 -3.33
C 4.34 0.42 -2.76
C 4.43 -0.19 -1.52
H 4.26 -3.01 -0.92
H 4.92 -3.90 0.46
H 5.95 -2.77 -0.44
H 3.11 -1.20 3.70
H 5.43 -2.60 3.94
H 6.50 -2.50 2.54
H 5.37 -3.84 2.70
H 1.13 -0.58 -0.87
H 0.96 0.53 -3.06
H 3.03 1.16 -4.29
H 5.24 0.70 -3.28
H 5.39 -0.36 -1.06

Properties
Net charge: 0
Energy relative to the best compared isomer or geometry (same formula, charge and spin) (kJ/mol): 311.38
Strongest force on any atom (Eh/bohr): 0.0162
Gap between HOMO and LUMO (eV): 5.70



[3]
Below is a cluster of 2 separate species, C4H7N2OS in total in a non-equilibrium geometry, with properties calculated with wB97M-V/def2-TZVPD.

Positions of all 15 atoms, in Å:
C -0.34 1.07 0.66
C 0.91 -2.72 -1.82
C -0.04 0.64 -1.57
C -0.81 0.79 1.96
N 0.53 2.05 0.37
N -0.71 0.43 -0.44
O 0.53 -1.85 -1.06
S 1.03 1.88 -1.33
H 0.24 -3.35 -2.50
H 1.92 -3.00 -2.01
H -0.32 1.29 2.78
H -0.75 -0.38 2.24
H -1.88 0.86 2.16
'''

## Outcome
C -3.15 -0.57 -3.26
N -2.23 0.15 -2.48
C -1.68 -0.21 -1.27
N -1.43 -1.55 -1.16
C -0.60 -2.24 -0.24
C -0.63 -2.15 1.15
C 0.19 -2.98 1.92
C 1.02 -3.89 1.32
C 1.08 -4.00 -0.06
C 0.27 -3.18 -0.82
O 0.24 -3.20 -2.19
C 1.17 -4.03 -2.86
N -1.37 0.61 -0.34
C -1.78 1.99 -0.34
C -2.87 3.35 1.73
C -3.36 4.53 0.85
C -2.01 4.89 -0.85
C -0.74 4.15 -1.10
C -0.63 2.91 -0.65
O 0.57 2.28 -0.40
C 1.75 3.07 -0.45
H -0.69 1.37 -5.80
H -1.34 -0.17 -6.41
H -0.68 -0.08 -4.76